Find the line underneath that holds "Fractional coordinates", then return that line and all lines after it there.

AcTb2Dy3 | PBE | optimized geometry

a b c (Å): 6.7602 6.7602 9.0611
angles (deg): 98.07 98.07 94.94
Fractional coordinates of all 12 atoms:
1 Ac 0.0789 0.9211 0.2500
2 Ac 0.9211 0.0789 0.7500
3 Tb 0.8699 0.3787 0.1264
4 Tb 0.6213 0.1301 0.3736
5 Tb 0.1301 0.6213 0.8736
6 Tb 0.3787 0.8699 0.6264
7 Dy 0.1748 0.3525 0.5054
8 Dy 0.6475 0.8252 0.9946
9 Dy 0.8252 0.6475 0.4946
10 Dy 0.3525 0.1748 0.0054
11 Dy 0.4206 0.5794 0.2500
12 Dy 0.5794 0.4206 0.7500

Fractional coordinates of all 12 atoms:
1 Ac 0.0789 0.9211 0.2500
2 Ac 0.9211 0.0789 0.7500
3 Tb 0.8699 0.3787 0.1264
4 Tb 0.6213 0.1301 0.3736
5 Tb 0.1301 0.6213 0.8736
6 Tb 0.3787 0.8699 0.6264
7 Dy 0.1748 0.3525 0.5054
8 Dy 0.6475 0.8252 0.9946
9 Dy 0.8252 0.6475 0.4946
10 Dy 0.3525 0.1748 0.0054
11 Dy 0.4206 0.5794 0.2500
12 Dy 0.5794 0.4206 0.7500